Cells and Organisms
Force and Motion
States of Matter
Material Changes

The soil in a tropical rain forest is always warm and wet. The soil in a woodland in northern Europe is often cold and sometimes dry. 

In which of these places would you expect dead leaves from the trees to decay more quickly? 


Leaves decay faster in a tropical rain forest, because micro-organisms grow faster when it is warm and wet.


Why does oiling the axles of a bicycle make the bicycle move easily?

Oil is a lubricant and this reduces the friction in the axles allowing the bicycle to move freely. 

Dry ice 'disappears' when placed in the open. Which change of state is being exhibited here?



Which property of metals is used in foils?



After bread dough has been kneaded, it is left in a warm place for a while, to allow the dough to rise. 

Why does it take time for the dough to rise? 

The yeast steadily produces carbon dioxide as it respires. Time is needed to allow it to produce enough carbon dioxide to make the dough rise.

Why can free fall occur when there is no air?
The only force acting on the object is gravity. There is no air resistance. 

Why does the wax not freeze at the top of a candle?

The heat on top of the candle makes it melt.


Harry was attending an interview on aviation. When asked about the material used to make air crafts, he answered Sodium. He was asked to leave immediately. 


Sodium burns on exposure to air! Aluminium is used to construct the bodies of air crafts as it is strong yet light. 


Why can't antibiotics cure a cold?

Colds are caused by a virus. Antibiotics only kill bacteria. They do not kill viruses.


True or False - 

Astronauts are weightless in space. 

False. They have mass and minimal gravitational force acting on them due to which they have weight. 


Balloons can be twisted into shapes. 


Because the particles of a gas can be compressed. 

Potassium is stored in kerosene. Why?

Because it burns on exposure to air. 

If an amoeba had a cell like a plant cell, it would not be able to move or feed in the way it does. 

Explain why. 

Plant cells have cell walls, which are stiff. The cell would not be able to move easily, and it would not be able to flow around smaller organisms.


A 100 kg block of wood is traveling with a constant velocity on ice. What is its normal force?

1000 N. 

Force = Mass * Gravitational Force


True or False - 

Mothballs sublime. 

_Between two parts of the entry: materials data_
+++
YMg4Au5: relaxed, GGA-PBE.

Cell and atoms, written as CIF:
```
data_YMg4Au5
_chemical_formula_sum 'Y1 Mg4 Au5'
_cell_length_a 3.403
_cell_length_b 3.403
_cell_length_c 16.537
_cell_angle_alpha 90.00
_cell_angle_beta 90.00
_cell_angle_gamma 90.00
_symmetry_space_group_name_H-M 'P 4/m m m'
_symmetry_Int_Tables_number 123
_symmetry_space_group_name_Hall '-P 4 2'
loop_
_atom_site_label
_atom_site_fract_x
_atom_site_fract_y
_atom_site_fract_z
Y1 0.000 0.000 0.000
Mg1 0.000 0.000 0.213
Mg2 0.000 0.000 0.405
Au1 0.500 0.500 0.117
Au2 0.500 0.500 0.309
Au3 0.500 0.500 0.500
```

Summary:
M_tot, Bohr magnetons per cell: 0.0
Final energy, eV/atom: -3.5790
Formation energy from the elements, meV per atom: -656

=====

YMgAu: relaxed, GGA-PBE.

Cell and atoms, written as CIF:
```
data_YMgAu
_chemical_formula_sum 'Y4 Mg4 Au4'
_cell_length_a 6.917
_cell_length_b 6.917
_cell_length_c 6.917
_cell_angle_alpha 90.00
_cell_angle_beta 90.00
_cell_angle_gamma 90.00
_symmetry_space_group_name_H-M 'F -4 3 m'
_symmetry_Int_Tables_number 216
_symmetry_space_group_name_Hall 'F -4 2 3'
loop_
_atom_site_label
_atom_site_fract_x
_atom_site_fract_y
_atom_site_fract_z
Y1 0.000 0.000 0.000
Mg1 0.250 0.250 0.750
Au1 0.250 0.250 0.250
```

Summary:
M_tot, Bohr magnetons per cell: 0.0
Final energy, eV/atom: -3.7667
Formation energy from the elements, meV per atom: 12

=====

YMg2Au2: relaxed, GGA-PBE.

Cell and atoms, written as CIF:
```
data_YMg2Au2
_chemical_formula_sum 'Y2 Mg4 Au4'
_cell_length_a 7.607
_cell_length_b 7.607
_cell_length_c 3.787
_cell_angle_alpha 90.00
_cell_angle_beta 90.00
_cell_angle_gamma 90.00
_symmetry_space_group_name_H-M 'P 4/m b m'
_symmetry_Int_Tables_number 127
_symmetry_space_group_name_Hall '-P 4 2ab'
loop_
_atom_site_label
_atom_site_fract_x
+++



Mercury is a metal. What's unusual about it?

It is liquid at room temperature; all other metals are solids at room temperature


The pH of milk is often about 6.7 while that of yogurt is about 4.5.

Explain what causes this change in pH, as milk is changed to yogurt. 

The bacteria change sugar in the milk to lactic acid. Acids have a low pH.


Bob is inside a vacuum room in which a ball weighing 300 KG and a feather weighing 50 g is released from the same height. Both the objects hit the surface of the ground at the same time. 

Identify the error in these statements.

How can Bob survive in a vacuum room?


What eventually happens if energy is continually removed from a liquid?

It freezes.


Why is Helium used in balloons?

Helium is lighter (less dense) than air so the balloons float in the air.